Tuesday 14 April 2009

100 Hours of Astronomy: The Final Word

It's finally over. The 100 Hours of Astronomy. The hundred hours went away as if they were a dream. But they were a dream. How else can I explain the immense joy I derived from organising the 100HA events? Now that the 100 hours are over, I'm looking back at the event and penning -- sorry, blogging -- my thoughts about it.

The Idea
This programme, as you all probably know, is part of the International Year of Astronomy 2009. There's isn't much to comment on this idea as this idea is beyond all superlatives. The idea of holding such an event is nothing less than extraordinary. In the International Year of Astronomy, what else could be better than this? Could there be any other event which allowed us to keep ourselves immersed in astronomy and also to mingle with people continuously for 100 hours? The amount of effort that has gone into making this possible is simply outstanding. The Around the World in 80 Telescopes programme and live webcasts provided a better opportunity to reach out to the people. The blogs on the website allowed us to interact with people from all over the world. Through this forum I came across Lee Pullen, a digital photographer, science communicator and ice-cream taster, as he describes himself. Lee is a very friendly person and he encouraged me a lot.

My Role
I am glad to say that I was a part of this great programme. My part might be -- it indeed is -- very little. But the fact that I was the only event organiser from West Bengal (I haven't checked the event page of India for a while. If there were any other organiser from West Bengal, forgive me!) made my task enormous. I had my limitations (see below) but I tried as much as I could. I played my role by showing everybody the films and the live webcast, delivering lectures, replying to queries I received over the phone / through email and, most importantly, holding observation sessions. Only through observation could we break the invisible wall that existed between "Sky & I." (That, by the way, was the name of the event of Day I.) I think that's precisely what my role was -- breaking that barrier.

My Limitations
I am glad to say that I played my role earnestly, but I can never overlook the woeful limitations of the event. And I couldn't overcome them either. I have discussed all these limitations in this post, so won't elaborate further. In short, there was little time to arrange everything. I wish I had got the help of some big organisation to make it really grand-scale. I had only two telescopes to use. I couldn't get a large hall or something to manage the crowd. It'd have been better if any nearby multiplex had shown space films. I can think of few other complaints I had. It didn't happen exactly the way I wanted. But what it eventually turned out to be wasn't bad either.

What I Think I Did Well
I love bragging. So here I am. There are a few things I think I did well. I tried not to alienate my audience with the latest news from the Chandra X-Ray Observatory. That probably worked. I tried to keep it as simple as possible. I used mythological references to explain things about stars and constellations. I tried to get them interested in astronomy. I also think that my explanation of the webcasts, NASA videos and images worked well with them. I thought I was best during the observation session. The email/ phone answers probably satisfied the enquirers. There are a lot more great things about me. Wait, there isn't! I can remember nothing else I did right. Phew!

What I Think I Didn't Do Well
As much as I love bragging, I must stay honest to myself. So here are things I thought I didn't do quite right and could actually improve. My individual explanations may have entertained the audience, but I'm pretty sure that my lectures on some topics were plain boring. My good audience didn't tell me that directly. In fact, I was bored with my own lectures. I can understand the plight of my audience. I think I should have discussed the history of astronomy in a more detailed way. I should have promoted this event more aggressively. It'd have been better if I had invited more schoolchildren. I suppose, I should have allowed my audiences more freedom in handling the telescopes. On second thoughts, that was not really possible, for we had little time. It'd have been so much better if I started showing the webcast two days earlier!

The Favourable Conditions
The most favourable condition for me, undoubtedly, was the schedule of the programme. I was on my holidays after the exams were over. So I could spend my time without thinking of my studies and all. I couldn't have got a better time to organise this programme. Thankfully, I had all my astronomy-related stuff ready. Therefore, it was super-easy to make it happen. The easy access to astronomy blogs (thank FSM they were there!) was great! I could get the schoolchildren (little though the number might be) because they too were on holidays. Otherwise...well, let's not think about that.

The Not-So-Favourable Conditions
When I started writing this post I thought of many obstacles. But now I can remember few. The main dampener for the webcast session was the inconsistency of my Internet connection. I am willing to change my ISP. The waxing Moon didn't help us in observing the sky either. At present, can't think of anything else. Will add later if I remember.

The Advantages and Disadvantages of a Sky Observer in My City
Absence of any kind of tall buildings around where I live (this part of the city is great!) is surely the best advantage for me as a sky observer from Kolkata. The eagerness of people from Kolkata to observe the sky was what made the programme a hit. Now the disadvantages. Firstly, a polluted atmosphere which cuts the enjoyment of watching the night sky in its full glory. Secondly, the lights. My FSM, the lights! It seemed that almost every light in Kolkata was on for no reason. When will people stop wasting the energy? (I smell a post on this topic coming soon.) Light pollution is one of the ugliest enemies of sky-observers. That said, the condition in Kolkata is possibly no worse than in other big cities.

The Weather...Grrr
I could include this in the previous passages. But it, in my opinion, deserved a separate mention. It almost managed to ruin the entire programme. This is the hottest April in Kolkata I've seen in many years. Even full-time air-conditioning could hardly comfort the audience. (It's the audience I'm talking about because being an avid sunspot-observer I am impervious to extreme heat.) Had it not been so hot, the audience would have enjoyed themselves better. Then there were the clouds. The night sky remained overcast for the most part. I cursed them all along the observation session. They were indeed the single most annoying thing of all. There's nothing more to write about it, really.

'Nuff said. See these posts: Days I, II, III, IV

Next to the piece, the page also holds materials data:
........
This record from Alexandria describes a relaxed structure of BeCuNi2. The functional is PBE.

Calculated values
- Total DFT energy (no corrections): -4.9858 eV per atom
- Magnetic moment: 0.0 μB/cell
- Density of states at the Fermi level: 2.755 states/eV/f.u.
- Formation enthalpy at 0 K: -140 meV/atom

Unit cell a=8.712 b=2.642 c=3.990 alpha=90.00 beta=117.06 gamma=90.00
Space group C2/m (No. 12)
One atom of each set of equivalent atoms:
1 Be 0.000 0.000 0.000 (multiplicity 2)
2 Cu 0.000 0.500 0.500 (multiplicity 2)
3 Ni 0.227 0.500 0.227 (multiplicity 4)

=====

(1)
TlCd5Hg7: relaxed, PBE-GGA.

Structure (CIF):
```
data_TlCd5Hg7
_cell_length_a 6.194
_cell_length_b 10.515
_cell_length_c 10.360
_cell_angle_alpha 90.00
_cell_angle_beta 90.00
_cell_angle_gamma 90.00
_space_group_name_H-M_alt 'I m m 2'
_space_group_IT_number 44
loop_
_space_group_symop_operation_xyz
'x,y,z'
'-x,-y,z'
'-x,y,z'
'x,-y,z'
'x+1/2,y+1/2,z+1/2'
'-x+1/2,-y+1/2,z+1/2'
'-x+1/2,y+1/2,z+1/2'
'x+1/2,-y+1/2,z+1/2'
loop_
_atom_site_label
_atom_site_type_symbol
_atom_site_fract_x
_atom_site_fract_y
_atom_site_fract_z
_atom_site_occupancy
Tl1 Tl 0.000 0.000 0.000 1
Cd1 Cd 0.000 0.500 0.785 1
Cd2 Cd 0.248 0.245 0.792 1
Hg1 Hg 0.000 0.000 0.323 1
Hg2 Hg 0.000 0.000 0.621 1
Hg3 Hg 0.000 0.321 0.545 1
Hg4 Hg 0.000 0.337 0.039 1
Hg5 Hg 0.000 0.500 0.300 1
```

(2)
# PBE-GGA Tl2CdHg, relaxed
# Distance to the lowest polymorph of the same formula = 6 meV/atom
data_Tl2CdHg
_cell_length_a 3.581
_cell_length_b 3.581
_cell_length_c 8.722
_cell_angle_alpha 90.00
_cell_angle_beta 90.00
_cell_angle_gamma 90.00
_space_group_name_H-M_alt 'P 4 m m'
_space_group_IT_number 99
loop_
_space_group_symop_operation_xyz
'x,y,z'
'-y,x,z'
'-x,-y,z'
'y,-x,z'
'-x,y,z'
'y,x,z'
'x,-y,z'
'-y,-x,z'
loop_
_atom_site_label
_atom_site_type_symbol
_atom_site_fract_x
_atom_site_fract_y
_atom_site_fract_z
_atom_site_occupancy
Tl1 Tl 0.000 0.000 0.000 1
Tl2 Tl 0.500 0.500 0.285 1
Cd1 Cd 0.000 0.000 0.534 1
Hg1 Hg 0.500 0.500 0.746 1

(3)
# PBE-GGA TlCdHg2, relaxed
# Distance to the lowest polymorph of the same formula = 16 meV/atom
data_TlCdHg2
_cell_length_a 3.5252
_cell_length_b 3.5252
_cell_length_c 30.2359
_cell_angle_alpha 90.00
_cell_angle_beta 90.00
_cell_angle_gamma 120.00
_space_group_name_H-M_alt 'R 3 m'
_space_group_IT_number 160
_space_group_name_Hall 'R 3 -2"'
loop_
_atom_site_label
_atom_site_type_symbol
_atom_site_fract_x
_atom_site_fract_y
_atom_site_fract_z
_atom_site_occupancy
Tl1 Tl 0.0000 0.0000 0.0000 1
Cd1 Cd 0.0000 0.0000 0.1683 1
Hg1 Hg 0.0000 0.0000 0.5794 1
Hg2 Hg 0.0000 0.0000 0.7562 1

(4)
# PBE-GGA Tl2Cd2Hg7, relaxed
# Distance to the lowest polymorph of the same formula = 21 meV/atom
data_Tl2Cd2Hg7
_cell_length_a 10.106
_cell_length_b 11.644
_cell_length_c 5.965
_cell_angle_alpha 90.00
_cell_angle_beta 119.87
_cell_angle_gamma 90.00
_space_group_name_H-M_alt 'C 1 2/m 1'
_space_group_IT_number 12
loop_
_space_group_symop_operation_xyz
'x,y,z'
'-x,-y,-z'
'-x,y,-z'
'x,-y,z'
'x+1/2,y+1/2,z'
........
End of the materials data:

The Lessons I Learned
I have been holding SOC events since 2003. But the 100 Hours of Astronomy taught me lessons I will never forget. I learned a great deal more about how I should plan my programmes and carry them out. I learned how to manage a huge crowd. I learned that I should visit the astro-blogs more often. I learned that people don't really like their photos posted on blog because it might harm them. I learned that I should look for sponsorships next time. (I've arranged all the programmes on my own so far.) I learned that I should visit a village for my next session, as I mostly do. This list is long. Let's stop here.

The Final Word on the Event (in general)

1 comment:

IYA Sri Lanka said...

100 HA >> Now it's Galilean Nights,, What's next..Let's be updated..